# Wanted
What is needed: count the lines further down that contain the word "Mg1" and give the number alone.
# Listing
┌──
# 1
Computed XRD peak list
Compound: MgAgAs
Radiation: CuKα
Structure: DFT lattice parameters and positions (GGA-PBE)
Lines closer than 0.1° are merged.

Crystal structure
```
data_MgAgAs
_chemical_formula_sum 'Mg2 Ag2 As2'
_cell_length_a 4.421
_cell_length_b 6.559
_cell_length_c 4.418
_cell_angle_alpha 90.00
_cell_angle_beta 90.00
_cell_angle_gamma 90.00
_symmetry_space_group_name_H-M 'P 1'
_symmetry_Int_Tables_number 1
_symmetry_space_group_name_Hall 'P 1'
loop_
_atom_site_label
_atom_site_fract_x
_atom_site_fract_y
_atom_site_fract_z
Mg1 0.000 0.250 0.000
Mg2 0.000 0.750 0.000
Ag1 0.500 0.250 0.502
Ag2 0.500 0.750 0.502
As1 0.000 0.000 0.499
As2 0.500 0.500 0.002
```

Main lines, in order of rising 2θ (2θ from 15° to 90°):
| d/Å | Position (°2θ) | I_rel |
| --- | --- | --- |
| 4.419 | 20.09 | 47.0 |
| 3.665 | 24.29 | 48.4 |
| 2.634 | 34.04 | 25.2 |
| 2.262 | 39.85 | 100.0 |
| 2.210 | 40.84 | 46.6 |
| 1.892 | 48.08 | 14.9 |
| 1.693 | 54.19 | 12.6 |
| 1.562 | 59.13 | 15.0 |
| 1.317 | 71.67 | 16.6 |
| 1.286 | 73.69 | 30.6 |

=====

# 2
Computed XRD peak list
Compound: Zr6ZnGa
Radiation: CuKα
Structure: DFT lattice parameters and positions (GGA-PBE)
Lines closer than 0.1° are merged.

Crystal structure
```
data_Zr6ZnGa
_chemical_formula_sum 'Zr6 Zn1 Ga1'
_cell_length_a 7.759
_cell_length_b 7.437
_cell_length_c 5.036
_cell_angle_alpha 74.14
_cell_angle_beta 67.22
_cell_angle_gamma 38.63
_symmetry_space_group_name_H-M 'P 1'
_symmetry_Int_Tables_number 1
_symmetry_space_group_name_Hall 'P 1'
loop_
_atom_site_label
_atom_site_fract_x
_atom_site_fract_y
_atom_site_fract_z
Zr1 0.116 0.116 0.384
Zr2 0.248 0.248 0.752
Zr3 0.384 0.384 0.116
Zr4 0.616 0.616 0.884
Zr5 0.752 0.752 0.248
Zr6 0.884 0.884 0.616
Zn1 0.500 0.500 0.500
Ga1 0.000 0.000 0.000
```

Main lines, in order of rising 2θ (2θ from 15° to 90°):
| d/Å | Position (°2θ) | I_rel |
| --- | --- | --- |
| 2.541 | 35.32 | 100.0 |
| 2.471 | 36.36 | 94.7 |
| 2.316 | 38.89 | 76.2 |
| 1.945 | 46.71 | 22.9 |
| 1.678 | 54.68 | 12.6 |
| 1.599 | 57.63 | 12.0 |
| 1.489 | 62.35 | 36.4 |
| 1.388 | 67.46 | 26.2 |
| 1.354 | 69.43 | 26.0 |
| 1.271 | 74.71 | 10.9 |

=====

# 3
Computed XRD peak list
Compound: AlCu4Pt
Radiation: CuKα
Structure: DFT lattice parameters and positions (GGA-PBE)
Lines closer than 0.1° are merged.

Crystal structure
```
data_AlCu4Pt
_chemical_formula_sum 'Al1 Cu4 Pt1'
_cell_length_a 4.801
_cell_length_b 4.801
_cell_length_c 4.801
_cell_angle_alpha 60.00
_cell_angle_beta 60.00
_cell_angle_gamma 60.00
_symmetry_space_group_name_H-M 'P 1'
_symmetry_Int_Tables_number 1
_symmetry_space_group_name_Hall 'P 1'
loop_
_atom_site_label
_atom_site_fract_x
_atom_site_fract_y
_atom_site_fract_z
Al1 0.000 0.000 0.000
Cu1 0.375 0.375 0.375
Cu2 0.375 0.375 0.875
Cu3 0.375 0.875 0.375
Cu4 0.875 0.375 0.375
Pt1 0.750 0.750 0.750
```

Main lines, in order of rising 2θ (2θ from 15° to 90°):
| d/Å | Position (°2θ) | I_rel |
| --- | --- | --- |
| 3.920 | 22.68 | 26.0 |
| 3.395 | 26.25 | 27.2 |
| 2.401 | 37.46 | 38.5 |
| 2.047 | 44.24 | 100.0 |
| 1.960 | 46.32 | 30.1 |
| 1.558 | 59.32 | 6.2 |
| 1.518 | 61.03 | 10.8 |
| 1.386 | 67.59 | 13.9 |
| 1.307 | 72.31 | 29.9 |
| 1.200 | 79.92 | 20.3 |

~~~~~

This entry pairs a crystal structure of V2AgP3O11 with its computed powder diffractogram. Radiation: Cu Kα (λ = 1.5418 Å). Structure: a PBE+U-relaxed structure.
Neutral-atom scattering factors, no anomalous dispersion.

The 8 most intense peaks (10 to 90 degrees two-theta), by angle:
| Position (°2θ) | intensity | h k l |
| --- | --- | --- |
| 20.4 | 20.2 | 0 2 0 |
| 24.8 | 51.9 | 3 1 -1 |
| 26.4 | 41.7 | 2 2 0 |
| 27.4 | 20.7 | 3 1 -2 |
| 30.2 | 100.0 | 0 2 2 |
| 33.0 | 20.5 | 3 1 1 |
| 33.8 | 42.0 | 3 1 -3 |
| 38.6 | 26.0 | 3 3 -1 |

Structure:
Cell lengths 11.8103, 8.6981, 8.9104 Å; angles 90.00, 114.79, 90.00 degrees
Space group C2 (No. 5)
Asymmetric unit:
V: 0.1242 0.0000 0.2904
V: 0.1242 0.4769 0.7905
Ag: 0.2499 0.4872 0.2507
P: 0.0000 0.1964 0.5000
P: 0.0000 0.2805 0.0000
└──
# Done
1